Homecoming 2022: Friday Lights, Neon Nights
Classes of 2017, 1970 and 1967 to Come Home

October 4, 2022
There’s a new look and new location for Homecoming 2022.
== What comes next are materials data, not part of the page ==
____________
[1]
Diffraction record for RbLiMnP3HO10. The powder X-ray diffraction pattern is simulated, not measured: it uses a cell relaxed with GGA+U and Cu Kα (weighted mean of Kα1 and Kα2).

Structure:
```
data_RbLiMnP3HO10
_chemical_formula_sum 'Rb4 Li4 Mn4 P12 H4 O40'
_cell_length_a 11.835
_cell_length_b 9.083
_cell_length_c 9.591
_cell_angle_alpha 90.00
_cell_angle_beta 108.88
_cell_angle_gamma 90.00
_space_group_name_H-M_alt 'C 1 c 1'
_space_group_IT_number 9
_space_group_name_Hall 'C -2yc'
loop_
_atom_site_label
_atom_site_type_symbol
_atom_site_fract_x
_atom_site_fract_y
_atom_site_fract_z
Rb1 Rb 0.000 0.041 0.000
Li1 Li 0.457 0.108 0.253
Mn1 Mn 0.250 0.247 0.735
P1 P 0.213 0.433 0.042
P2 P 0.280 0.067 0.424
P3 P 0.495 0.125 0.991
H1 H 0.240 0.259 0.215
O1 O 0.055 0.297 0.636
O2 O 0.080 0.497 0.451
O3 O 0.174 0.305 0.129
O4 O 0.198 0.047 0.826
O5 O 0.229 0.140 0.532
O6 O 0.258 0.377 0.923
O7 O 0.291 0.453 0.643
O8 O 0.339 0.172 0.340
O9 O 0.398 0.027 0.037
O10 O 0.440 0.208 0.852
```

Main lines, low angle first (2θ from 10° to 90°):
2θ 14.25, I 48
2θ 19.56, I 73
2θ 20.83, I 79
2θ 25.18, I 80
2θ 25.41, I 29
2θ 27.38, I 58
2θ 27.79, I 100
2θ 28.98, I 96
2θ 31.97, I 51
2θ 39.41, I 40

=====

[2]
Diffraction record for Li2MnVP2H2O10. The powder X-ray diffraction pattern is simulated, not measured: it uses a cell relaxed with GGA+U and Cu Kα (weighted mean of Kα1 and Kα2).

Structure:
```
data_Li2MnVP2H2O10
_chemical_formula_sum 'Li6 Mn3 V3 P6 H6 O30'
_cell_length_a 5.434
_cell_length_b 7.395
_cell_length_c 14.445
_cell_angle_alpha 93.82
_cell_angle_beta 94.31
_cell_angle_gamma 105.86
_space_group_name_H-M_alt 'P -1'
_space_group_IT_number 2
_space_group_name_Hall '-P 1'
loop_
_atom_site_label
_atom_site_type_symbol
_atom_site_fract_x
_atom_site_fract_y
_atom_site_fract_z
Li1 Li 0.019 0.095 0.416
Li2 Li 0.318 0.248 0.916
Li3 Li 0.356 0.417 0.748
Mn1 Mn 0.163 0.667 0.167
Mn2 Mn 0.500 0.500 0.500
V1 V 0.164 0.168 0.168
V2 V 0.500 0.000 0.500
P1 P 0.024 0.660 0.392
P2 P 0.306 0.671 0.938
P3 P 0.365 0.995 0.726
H1 H 0.113 0.895 0.050
H2 H 0.218 0.443 0.287
H3 H 0.445 0.220 0.382
O1 O 0.024 0.722 0.292
O2 O 0.059 0.894 0.113
O3 O 0.078 0.884 0.733
O4 O 0.120 0.796 0.920
O5 O 0.126 0.841 0.463
O6 O 0.187 0.521 0.404
O7 O 0.228 0.490 0.870
O8 O 0.267 0.441 0.221
O9 O 0.268 0.435 0.599
O10 O 0.304 0.623 0.040
O11 O 0.367 0.044 0.624
O12 O 0.401 0.221 0.447
O13 O 0.409 0.215 0.070
O14 O 0.445 0.177 0.794
O15 O 0.452 0.131 0.256
```

Main lines, low angle first (2θ from 10° to 90°):
2θ 17.56, I 27
2θ 18.38, I 32
2θ 18.56, I 44
2θ 25.40, I 27
2θ 25.62, I 30
2θ 26.45, I 88
2θ 26.78, I 100
2θ 28.83, I 73
2θ 35.67, I 33
2θ 37.26, I 26

=====

[3]
Diffraction record for Li2MnVP2H2O10. The powder X-ray diffraction pattern is simulated, not measured: it uses a cell relaxed with GGA+U and Cu Kα (weighted mean of Kα1 and Kα2).

Structure:
```
data_Li2MnVP2H2O10
_chemical_formula_sum 'Li4 Mn2 V2 P4 H4 O20'
_cell_length_a 6.956
_cell_length_b 7.415
_cell_length_c 8.052
____________
After a year with adjustments made due to Covid-19 protocols, this year’s Homecoming schedule is a leap back to the future during this themed week.
Today, “Throwback Thursday,” provides a chance to look back on previous Homecoming weeks.
Last year’s homecoming didn’t have a theme, partly due to its location: the football field. Facial masks were strongly recommended. That was the past. Back to the future, masks off (or are just optional).
This year, the Student Council Executive Board tried to brighten things up a bit.
Retro Neon is this year’s theme. There’s big expectation for bursts of colorful, eye-popping hues and lights at the student sections during today’s assembly, tonight’s game and Saturday night’s Homecoming Dance. With this year’s location of the West Gym and the ability of underclassmen to attend, the numbers should be higher than the past few years.
None of this without controversy. In fact, the announcement of Retro Neon was glowing to some and the subject of disagreements to others.
Student Council Executive Board President Helen Mulugetta said neon is meant to represent the 1980’s neon.
“Over the summer, Vice President Xavier Buford thought of the idea, as a way to incorporate the week with the Friday football game,” Mulugetta told The Spartan Star.
Still, there is anticipation of a large crowd coming out over this weekend, an anticipation that’s been building with each passing Homecoming themed day.
Homecoming Week started Monday with Album Cover Day and continued Tuesday and Wednesday with “Disney Duo Day” and “What’s That Meme Day.”
Friday – tomorrow – is both “Bring Anything but a Bookbag Day” as well as being themed to call classes to come out clad in neon colors.
For freshmen, it will be a time to be seen in neon green. Sophomores can fall through in any hue of neon blue. The jam for Juniors is neon orange. And for The Senior Class of 2023, the class color is neon pink.
Each class will collide in an epic battle of dodgeball for class bragging rights.
Also, during tomorrow’s school spirit rally, students and school staff will learn who’s in the Homecoming Court leading up to the big game when the varsity football team races out under the Friday Night Lights to face St. Viator. During halftime at the game, the Homecoming King and Queen will be announced.
-- Next to the article, the page also holds materials data --
┌──
Li2MgSn: calculated X-ray powder pattern (Cu Kα), based on a GGA-PBE-relaxed structure.

Crystal structure
```
data_Li2MgSn
_chemical_formula_sum 'Li2 Mg1 Sn1'
_symmetry_space_group_name_H-M 'P 1'
_symmetry_Int_Tables_number 1
_cell_length_a 4.802
_cell_length_b 4.802
_cell_length_c 4.802
_cell_angle_alpha 60.00
_cell_angle_beta 60.00
_cell_angle_gamma 60.00
loop_
_symmetry_equiv_pos_as_xyz
'x,y,z'
loop_
_atom_site_label
_atom_site_type_symbol
_atom_site_fract_x
_atom_site_fract_y
_atom_site_fract_z
Li1 Li 0.000 0.000 0.000
Li2 Li 0.250 0.250 0.250
Mg1 Mg 0.500 0.500 0.500
Sn1 Sn 0.750 0.750 0.750
```

The 9 most intense peaks (2θ from 5° to 70°), by angle:
Position (°2θ), d (Å), I/Imax
22.68, 3.921, 100
26.24, 3.396, 34
37.45, 2.401, 75
44.23, 2.048, 53
46.31, 1.961, 10
└──
Over the weekend, Marian will welcome home the Spartan classes of 2017, 1967 and 1970.
With Saturday’s dance scheduled to return inside, expect formal footwear (open-toed heels, Jordans), longer gowns and more traditional attire.
/*
(1)
This entry pairs a crystal structure of TaFe8W3 with its simulated XRD peak list. Radiation: Cu Kα X-rays. Structure: a DFT-relaxed cell (PBE, Alexandria).

Cell and atoms:
```
data_TaFe8W3
_cell_length_a 4.6995
_cell_length_b 4.6995
_cell_length_c 7.8076
_cell_angle_alpha 90.00
_cell_angle_beta 90.00
_cell_angle_gamma 120.00
_space_group_name_H-M_alt 'P 3 m 1'
_space_group_IT_number 156
loop_
_space_group_symop_operation_xyz
'x,y,z'
'-y,x-y,z'
'-x+y,-x,z'
'-y,-x,z'
'-x+y,y,z'
'x,x-y,z'
loop_
_atom_site_label
_atom_site_type_symbol
_atom_site_fract_x
_atom_site_fract_y
_atom_site_fract_z
Ta1 Ta 0.0000 0.0000 0.0000
Fe1 Fe 0.1632 0.3263 0.6819
Fe2 Fe 0.3333 0.6667 0.4322
Fe3 Fe 0.3333 0.6667 0.9330
Fe4 Fe 0.5042 0.0084 0.1838
W1 W 0.0000 0.0000 0.3672
W2 W 0.6667 0.3333 0.5000
W3 W 0.6667 0.3333 0.8572
```

Main lines, in order of rising 2θ (2θ = 10–90°):
| 2θ/deg | I/Imax |
| --- | --- |
| 21.8 | 18 |
| 24.7 | 17 |
| 38.3 | 64 |
| 41.2 | 100 |
| 45.0 | 75 |
| 46.1 | 46 |
| 71.2 | 38 |
| 74.0 | 17 |
| 77.0 | 25 |
| 82.0 | 18 |

***

(2)
This entry pairs a crystal structure of Bi9Rh2I3 with its simulated XRD peak list. Radiation: Cu Kα X-rays. Structure: a DFT-relaxed cell (PBE, Alexandria).

Cell and atoms:
```
data_Bi9Rh2I3
_cell_length_a 8.4365
_cell_length_b 13.8402
_cell_length_c 9.4913
_cell_angle_alpha 90.00
_cell_angle_beta 116.25
_cell_angle_gamma 90.00
_space_group_name_H-M_alt 'P 1 21/m 1'
_space_group_IT_number 11
loop_
_space_group_symop_operation_xyz
'x,y,z'
'-x,-y,-z'
'-x,y+1/2,-z'
'x,-y+1/2,z'
loop_
_atom_site_label
_atom_site_type_symbol
_atom_site_fract_x
_atom_site_fract_y
_atom_site_fract_z
Bi1 Bi 0.0861 0.2500 0.1729
Bi2 Bi 0.1381 0.5373 0.8312
Bi3 Bi 0.1548 0.2500 0.8578
Bi4 Bi 0.1908 0.6345 0.3837
Bi5 Bi 0.2962 0.7500 0.1422
Bi6 Bi 0.3061 0.0373 0.1686
Rh1 Rh 0.0299 0.6000 0.0601
*/
While jewelry and gowns might glow, it shouldn’t rain from the ceiling.
“Students attending Homecoming should know that glitter isn’t allowed, but having fun is,” Mulugetta said.
Students should also expect to pass a breathalyzer to enter the dance and maintain the level of safety, respectability and fun that comes with being in a Marian environment.
Look for coverage of Homecoming Week next week in The Spartan Star.